Sun. May 5th, 2024

Enchantée is “an intoxicating blend of opulence, magic, intrigue and romance,” as described by New York Times bestselling author Alwyn Hamilton.

Rising to #33 in Teen and Young Adult Historical Fantasy eBooks and #34 in Teen and Young Adult European Historical Fiction, Gita Trelease’s first novel Enchantée has gained immediate and immense success since the book’s publication in February.

In addition to climbing up the ranks, Enchantée has received a multitude of reviews commending its success.

The novel combines fantasy with the rich history of the French Revolution into a tale about an orphan girl who uses dark magic to keep her family safe.

Materials data, kept here for reference.
- - -
BHRh3 | GGA-PBE | optimized geometry

Energy, eV per atom: -6.54

a = 6.1795 Å, b = 2.7814 Å, c = 6.2646 Å
α = 90.00°, β = 104.62°, γ = 90.00°
Closest atoms and distances in Å follow each position.
Space group P2_1/m (No. 11)
Symmetry-distinct sites (fractional):
B  0.1819  0.2500  0.2432 (multiplicity 2)  7 Rh 2.19-2.35
H  0.3342  0.7500  0.8422 (multiplicity 2)  6 Rh 1.95-2.06
Rh  0.1018  0.2500  0.8565 (multiplicity 2)  2 H 2.02, 2 B 2.20
Rh  0.2309  0.7500  0.5208 (multiplicity 2)  1 H 1.95
Rh  0.4338  0.7500  0.1825 (multiplicity 2)  3 H 2.03-2.06, 2 B 2.19

---

BH2Rh | GGA-PBE | optimized geometry

Energy, eV per atom: -4.71

a = 3.0154 Å, b = 3.0154 Å, c = 14.2327 Å
α = 90.00°, β = 90.00°, γ = 90.00°
Closest atoms and distances in Å follow each position.
Space group I4_1/amd (No. 141, origin choice 2)
Symmetry-distinct sites (fractional):
B  0.0000  0.2500  0.3750 (multiplicity 4)  4 Rh 2.13
H  0.0000  0.0000  0.0000 (multiplicity 8)  2 H 1.51
Rh  0.0000  0.2500  0.8750 (multiplicity 4)  4 H 1.93, 4 B 2.13

---

BH2Rh | GGA-PBE | optimized geometry

Energy, eV per atom: -4.27

a = 4.7408 Å, b = 4.7408 Å, c = 4.7408 Å
α = 90.00°, β = 90.00°, γ = 90.00°
Closest atoms and distances in Å follow each position.
Space group Fm-3m (No. 225)
Symmetry-distinct sites (fractional):
B  0.0000  0.0000  0.0000 (multiplicity 4)  8 H 2.05
H  0.2500  0.2500  0.2500 (multiplicity 8)  4 Rh 2.05, 4 B 2.05
Rh  0.0000  0.0000  0.5000 (multiplicity 4)  8 H 2.05

---

B5HRh8 | GGA-PBE | optimized geometry

Energy, eV per atom: -7.06

a = 6.6088 Å, b = 6.6088 Å, c = 6.9793 Å
α = 90.00°, β = 90.00°, γ = 90.00°
Closest atoms and distances in Å follow each position.
Space group I-4 (No. 82)
Symmetry-distinct sites (fractional):
B  0.0000  0.0000  0.0000 (multiplicity 2)  4 Rh 2.05
B  0.0795  0.7549  0.3798 (multiplicity 8)  4 Rh 2.07-2.11
H  0.0000  0.5000  0.7500 (multiplicity 2)  4 Rh 2.01
Rh  0.0368  0.7065  0.0877 (multiplicity 8)  3 B 2.05-2.11
Rh  0.0370  0.7902  0.6714 (multiplicity 8)  1 H 2.01, 2 B 2.07-2.08


## CePuC2 (PBE-GGA)

Data for a relaxed structure of CePuC2.

Computed properties:
- E_form (eV/atom) = 0.406
- V (Å³/atom) = 14.275
- raw total energy (eV per atom) = -9.27
- space group = P4/mmm, No. 123
- energy above the most stable polymorph in this dataset (eV per formula unit) = 1.48

Unit cell a=3.0525 b=4.3250 c=4.3250 alpha=90.00 beta=90.00 gamma=90.00
Each line ends with the local moment (μB).
Fractional positions:
Pu: 0.5000 0.5000 0.5000  4.45
C: 0.0000 0.5000 0.0000  -0.22
C: 0.0000 0.0000 0.5000  -0.22
Ce: 0.5000 0.0000 0.0000  0.11


# TiPd8Pb2 (GGA-PBE, optimized geometry)
# **Electronic total energy**: -5.500 eV/atom
# **Formation enthalpy at 0 K**: -0.33 eV per atom
data_TiPd8Pb2
_chemical_formula_sum 'Ti2 Pd16 Pb4'
_space_group_name_H-M_alt 'C 1 2/m 1'
_space_group_IT_number 12
_cell_length_a 15.020
_cell_length_b 4.065
_cell_length_c 6.519
_cell_angle_alpha 90.00
_cell_angle_beta 108.86
_cell_angle_gamma 90.00
loop_
- - -
The text goes on.

Despite her success as a new novelist, Ms. Trelease did not study creative writing in school. However, other experiences such as conducting research as a Ph.D. student and teaching classes on fairy tales at Princeton has helped her with writing this historical fantasy.

This knowledge, combined with her love for reading and writing, have set the stage for her current career as an author.

Ms. Trelease commented, “I’ve been writing and reading for a long time, and both of these things—along with intense perseverance—have contributed to my success as a writer. After a career as an academic, I had to teach myself by reading novels, taking them apart, and studying books on the craft of writing.”

With this experience and passion, Ms. Trelease cannot believe  how being an author has completely changed her life.

Currently, Ms. Trelease’s full-time job is writing, an occupation that has opened up many more opportunities for her. These oppurtunities include attending festivals such as the recent Teen Book Con in Houston, and many others as well.

However, despite undergoing such great changes, Ms. Trelease admitted that certain aspects of her life have remained the same.

“Though I didn’t realize it at the time, I thought that becoming a published author would not just change my life but change me. That if I achieved this thing, problems I had would disappear. But of course it didn’t work that way. I’m still me, fighting the same inner struggles I was when I started,” she said.

Realizing this helps me focus less on the product, and more on the process, because we can never guarantee the outcome of our work or its reception,” reflected Ms. Trelease.

Ms. Trelease is currently working on the sequel to Enchantée and has already completed a rough draft.

In writing this novel, Ms. Trelease must consider what her fans want as well as her own goals for the series.

In addition to bettering herself as a writer, Ms. Trelease keeps herself engaged with the novel by exploring character development as violence rises during the French Revolution and tackling the question of what it truly means to be a hero.

She also keeps in mind her editor’s suggestions for what her readers are hoping for, namely more romance.

Yet, like any writer, she faces certain challenges.

The deadline for the first draft, January, cut her off on time, but Ms. Trelease used this experience to turn her mistakes into a way to learn more about herself and her writing process.

“Only afterwards did I realize that writing a super-detailed outline made me feel like I’d already figured out the story, which meant that I no longer wanted to write it and also, that I liked to have the freedom to write scenes out of order and revise intensively for coherency afterwards, which takes more time,” said Ms. Trelease.

This deadline also gave her writer’s block, an issue that she predicts will reoccur, though she has learned to combat and overcome this problem through copious years of practice.

Ms. Trelease added, “I learned that for me at least, writer’s block is about fear. To combat that feeling, one of the best strategies I know is to break down what you need to do into very small pieces and then reward yourself with something fun.”

She continued, “Eventually you start to feel successful again and writing becomes easier. I suspect, however, that beating the fear will be a lifelong struggle for me.”

Writing the sequel will ultimately be an opportunity to explore her writing style and methods.

“A big part of writing the sequel has been coming to understand myself and my process as a writer,” remarked Ms. Trelease.

“As a writer, you really have to be willing to trust yourself, throw things out, and start over.”